Gen. Michael Garrett leads Army Forces Command, which includes more than 750,000 soldiers from the active, Guard and Reserve components. FORSCOM prepares soldiers for work in the geographic combatant commands across the globe.
Over the past year, the command has weathered the challenges of the COVID-19 pandemic while supplying soldiers to the vast array of missions and obligations that the Army is committed to serving.
Garrett spoke with Army Times ahead of the annual Association of the U.S. Army conference. This interview was edited for length and clarity.
How has FORSCOM sought to maintain readiness with the range of commitments on its plate?
As FORSCOM commander I think every day about the readiness of our Army. Are we ready to meet requirements?
Where do those requirements stand, and where do they come from? The Joint Staff, the Global Force Management Plan, all set specific requirements. But also, the Army has to be prepared to do any number of things.
The initial response force for the Afghanistan evacuation was a whole brigade out of the 82nd Airborne Division, also a division headquarters and a number of supporting units, and it was all done in a very tight timeline — a timeline we practice. That is real readiness, being able to respond in the timeline that we set for ourselves.
The bottom line is: We were able to get forces into theater and they executed the geographic combatant commander’s requirements. But another piece of readiness [involves] our Afghan evacuees and other Afghan personnel, and the temporary safe havens established at bases in the United States. That was another requirement for the Army. I thought the mission was well defined, but we are learning things about this mission every single day.
Even as there are ongoing operations and changes to talent management, the Army is updating or upgrading a lot of equipment, formations and training. What is FORSCOM’s role in that?
Modernization for me is an imperative. If you look at our adversaries, they’re modernizing.
The Regionally Aligned Readiness and Modernization Model, or ReARMM, is the key to finding the balance between the people, the readiness and the modernization priorities. We’ve built security force assistance brigades, we’re building multidomain task forces. These are allowing the geographic combatant commanders through Army components to have the right mix of combatant forces to do that.
Unrelated to this page: data records:
........
Below is 5 unconnected molecules or ions with the total composition C46H98Br2N2O6PS3 at a distorted geometry, with properties calculated with wB97M-V/def2-TZVPD.

Structure (XYZ):
```
158
C46H98Br2N2O6PS3, DFT wB97M-V/def2-TZVPD
Br -1.491 -3.521 -4.580
Br -1.264 -5.834 -1.933
S 2.062 1.417 -0.772
S -0.715 2.530 -0.791
S -4.152 -3.067 1.785
P -0.539 -4.262 1.127
O 0.737 -4.979 1.741
O 3.681 -3.016 -5.386
O -1.661 -5.189 1.085
O 0.586 -4.051 -2.845
O 2.791 3.781 2.932
O -0.694 -3.012 2.091
N 1.188 3.597 0.571
N -1.064 -2.504 -1.033
C 1.062 5.639 5.792
C -2.804 -7.364 -5.094
C -2.494 -2.988 -1.118
C 3.315 0.049 4.984
C -1.157 0.765 -0.889
C 1.042 -2.194 -4.203
C 0.659 3.459 1.944
C 4.917 2.844 6.868
C 4.820 0.258 5.120
C -2.374 -9.794 -5.837
C -1.564 -0.921 -2.938
C -3.509 -1.934 -0.651
C -4.466 6.080 -2.544
C 0.966 2.519 -0.252
C -3.095 -6.830 -6.496
C 3.704 -2.257 -0.195
C 1.686 2.886 2.888
C 0.276 -4.575 -1.598
C -0.030 -3.518 -0.521
C -0.450 5.484 5.641
C 4.673 1.436 7.403
C 1.402 -5.525 -1.187
C -1.661 0.498 -2.320
C -4.596 6.696 -3.938
C 1.273 8.166 7.623
C -3.041 4.076 -3.232
C 5.325 0.340 6.561
C 2.557 4.154 0.560
C -3.586 -1.633 0.840
C 1.240 -2.669 -0.106
C -3.458 7.634 -4.335
C -1.885 -8.584 -5.043
C -1.847 -6.349 -7.232
C 2.820 -1.261 5.585
C -0.567 -1.887 -2.319
C -3.705 -10.350 -5.338
C 1.293 -2.720 -5.605
C -3.183 5.284 -2.310
C 1.572 5.661 7.233
C 2.684 -2.259 -6.055
C 3.464 3.700 1.693
C 2.435 -2.483 -1.049
C -3.336 8.858 -3.432
C -0.045 -2.912 -3.348
C -0.985 4.170 6.205
C 0.969 6.754 8.114
H 6.407 0.503 6.539
H 0.599 -2.313 -6.335
H -2.349 -6.564 -4.501
H -5.542 7.244 -3.986
H 2.739 -2.360 -7.140
H -1.098 -1.773 -0.321
H 1.649 -3.063 0.822
H -2.538 9.515 -3.780
H 0.289 -1.251 -2.093
H 5.987 3.057 6.807
H -1.137 -7.159 -7.400
H 5.070 1.370 8.418
H 1.257 2.753 3.879
H -0.888 -8.306 -5.399
H 0.654 -5.923 1.537
H -2.111 -5.936 -8.206
H -3.796 -5.995 -6.406
H 1.746 -1.378 5.430
H -0.504 3.314 5.723
H -3.177 4.938 -1.272
H 4.487 2.983 5.874
H 1.308 -3.807 -5.634
H 0.846 8.353 6.636
H -3.406 -1.009 -1.216
H 5.179 -0.624 7.057
H 4.515 -1.864 -0.798
H -2.651 -1.196 1.212
H 3.000 -1.305 6.659
H 1.557 4.817 5.264
H -2.706 0.796 -2.384
H 2.439 5.233 0.692
H -0.256 0.222 -0.602
H 3.319 -2.115 5.122
H 1.965 -2.359 -3.653
H -4.590 -2.402 2.859
H 0.275 4.411 2.307
H 4.296 4.401 1.742
H 3.596 1.259 7.486
H 1.875 -5.900 -2.089
H -3.604 -7.589 -7.095
H -0.968 6.322 6.113
H -4.336 -0.855 0.963
H 2.660 5.782 7.211
H -2.752 -3.215 -2.146
H -0.113 6.619 8.197
H -0.435 -2.171 1.693
H -3.637 -10.640 -4.288
H -1.756 -8.877 -3.995
H -4.676 5.900 -4.684
H 0.921 -1.654 0.162
H 4.466 3.589 7.524
H -1.342 -5.567 -6.659
H -2.984 4.371 -4.280
H -2.060 4.086 6.040
H -0.698 5.535 4.576
H 0.982 -6.335 -0.606
H -1.953 0.593 -0.166
H -3.632 7.970 -5.361
H -0.198 2.784 1.907
H -3.753 -7.600 -4.603
H -2.128 3.525 -2.996
H -1.131 1.182 -2.977
H -3.106 8.580 -2.402
H 3.881 2.702 1.535
H 2.779 0.888 5.439
H -2.665 -3.912 -0.572
H 0.856 8.908 8.305
H -2.559 -1.334 -3.055
........
The data records stop here:

We’re on the cusp of validating the V Corps Headquarters in Europe. The other part about ReARMM, what it is designed to help us to do, is it provides readiness for immediate response. That allows us to synchronize all three of these things so that we can meet our modernization objectives without impacting readiness or some of the people activities.
We’re pretty close to fully implementing ReARMM. Transitioning from counterinsurgency operations in a brigade combat team-focused army to large-scale combat operations in a division-centric army — that’s where we’re going. Everything from our doctrine to our equipment is geared toward the distinction.
Looking back on your time as a new officer and comparing it to now, with all of the changes, what are your takeaways?
In recent years, the Army spent a lot of time on operational and strategic-level readiness.
I thought we needed to spend more time at the point of contact. Individual and small unit excellence defined the Army when I was a young officer. We weren’t involved in a war then, let alone the multiple conflicts we support around the world today. But what we were was the best trained army in the history of the world.
What I have done in the past two and a half years — and it’s taken time for everyone to see this the same way — is push that platoons and companies can fight. They’re not just qualified on their weapons systems but are masters of their weapons systems. It has been incredibly gratifying for me to see the proficiency in our small units. I am very pleased at where we are.
I think the U.S. Army remains the most lethal army, not just on the planet today but probably in the history of the planet. What’s going to be our challenge going forward is balancing our people against our readiness and modernization requirements.
We cannot afford to waste one dollar if we want to stay on track with our modernization efforts and provide the readiness the Army and the Defense Department require on any given day. There are young kids out there that see the Army as I did as a young kid growing up — as an opportunity to do something important. What I hope is the young kids of today and tomorrow fall in love with the Army.
Todd South has written about crime, courts, government and the military for multiple publications since 2004 and was named a 2014 Pulitzer finalist for a co-written project on witness intimidation. Todd is a Marine veteran of the Iraq War.